(To do)
Your job: return all of the block below exactly.

(Listing)
=====
Entry 1:
Density functional theory data (PBE) for crystalline ScIn2Au6 at its relaxed geometry.

abc: 4.990 8.618 8.618
angles: 75.64 81.74 81.74
Fractional positions:
Sc (0.250, 0.132, 0.868)
Sc (0.750, 0.868, 0.132)
In (0.417, 0.534, 0.798)
In (0.083, 0.202, 0.466)
In (0.583, 0.466, 0.202)
In (0.917, 0.798, 0.534)
Au (0.473, 0.684, 0.429)
Au (0.027, 0.571, 0.316)
Au (0.527, 0.316, 0.571)
Au (0.973, 0.429, 0.684)
Au (0.644, 0.094, 0.348)
Au (0.856, 0.652, 0.906)
Au (0.356, 0.906, 0.652)
Au (0.144, 0.348, 0.094)
Au (0.300, 0.785, 0.002)
Au (0.200, 0.998, 0.215)
Au (0.700, 0.215, 0.998)
Au (0.800, 0.002, 0.785)

Results
The space group is No. 15. For the total magnetization, the calculation gives 0.0 μB per formula unit. The formation energy comes out at -2.94 eV/f.u.

=====

Entry 2:
Density functional theory data (PBE) for crystalline ScInAu at its relaxed geometry.

abc: 4.763 4.763 8.200
angles: 73.12 73.12 60.00
Fractional positions:
Au (0.162, 0.162, 0.514)
Au (0.923, 0.923, 0.230)
In (0.668, 0.668, 0.995)
In (0.514, 0.514, 0.457)
Sc (0.283, 0.283, 0.152)
Sc (0.046, 0.046, 0.861)

Results
The space group is No. 160. For the total magnetization, the calculation gives 0.0 μB per formula unit. The formation energy comes out at -0.71 eV/f.u.

=====

Entry 3:
Density functional theory data (PBE) for crystalline Sc4InAu at its relaxed geometry.

abc: 5.763 5.763 5.763
angles: 60.00 60.00 60.00
Fractional positions:
Sc (0.876, 0.375, 0.375)
Sc (0.375, 0.375, 0.876)
Sc (0.375, 0.876, 0.375)
Sc (0.375, 0.375, 0.375)
In (0.000, 0.000, 0.000)
Au (0.750, 0.750, 0.750)

Results
=====

(Completed)
Entry 1:
Density functional theory data (PBE) for crystalline ScIn2Au6 at its relaxed geometry.

abc: 4.990 8.618 8.618
angles: 75.64 81.74 81.74
Fractional positions:
Sc (0.250, 0.132, 0.868)
Sc (0.750, 0.868, 0.132)
In (0.417, 0.534, 0.798)
In (0.083, 0.202, 0.466)
In (0.583, 0.466, 0.202)
In (0.917, 0.798, 0.534)
Au (0.473, 0.684, 0.429)
Au (0.027, 0.571, 0.316)
Au (0.527, 0.316, 0.571)
Au (0.973, 0.429, 0.684)
Au (0.644, 0.094, 0.348)
Au (0.856, 0.652, 0.906)
Au (0.356, 0.906, 0.652)
Au (0.144, 0.348, 0.094)
Au (0.300, 0.785, 0.002)
Au (0.200, 0.998, 0.215)
Au (0.700, 0.215, 0.998)
Au (0.800, 0.002, 0.785)

Results
The space group is No. 15. For the total magnetization, the calculation gives 0.0 μB per formula unit. The formation energy comes out at -2.94 eV/f.u.

=====

Entry 2:
Density functional theory data (PBE) for crystalline ScInAu at its relaxed geometry.

abc: 4.763 4.763 8.200
angles: 73.12 73.12 60.00
Fractional positions:
Au (0.162, 0.162, 0.514)
Au (0.923, 0.923, 0.230)
In (0.668, 0.668, 0.995)
In (0.514, 0.514, 0.457)
Sc (0.283, 0.283, 0.152)
Sc (0.046, 0.046, 0.861)

Results
The space group is No. 160. For the total magnetization, the calculation gives 0.0 μB per formula unit. The formation energy comes out at -0.71 eV/f.u.

=====

Entry 3:
Density functional theory data (PBE) for crystalline Sc4InAu at its relaxed geometry.

abc: 5.763 5.763 5.763
angles: 60.00 60.00 60.00
Fractional positions:
Sc (0.876, 0.375, 0.375)
Sc (0.375, 0.375, 0.876)
Sc (0.375, 0.876, 0.375)
Sc (0.375, 0.375, 0.375)
In (0.000, 0.000, 0.000)
Au (0.750, 0.750, 0.750)

Results